<<<
[1]
# PmAs2Ru2 | the Alexandria database | PBE | optimized geometry
# Formation energy from the elements, kJ per mole of atoms: -71.2
# Final energy, eV per atom: -7.2579
# Space-group type: I4/mmm, No. 139
# D(E_F), states/eV/cell: 2.0
data_PmAs2Ru2
_space_group_name_H-M_alt 'P 1'
_space_group_IT_number 1
_space_group_name_Hall 'P 1'
_cell_length_a 4.209
_cell_length_b 4.209
_cell_length_c 5.957
_cell_angle_alpha 110.69
_cell_angle_beta 110.69
_cell_angle_gamma 90.00
loop_
_atom_site_label
_atom_site_type_symbol
_atom_site_fract_x
_atom_site_fract_y
_atom_site_fract_z
As1 As 0.371 0.371 0.741
As2 As 0.629 0.629 0.259
Pm1 Pm 0.000 0.000 0.000
Ru1 Ru 0.250 0.750 0.500
Ru2 Ru 0.750 0.250 0.500

=====

[2]
# LiDySn2 | the Alexandria database | PBE | optimized geometry
# Formation energy from the elements, kJ per mole of atoms: -53.7
# Final energy, eV per atom: -4.1873
# Offset from the most stable computed form, eV/atom: 0.000
# Space-group type: P4/mmm, No. 123
# D(E_F), states/eV/cell: 1.6
data_LiDySn2
_space_group_name_H-M_alt 'P 1'
_space_group_IT_number 1
_space_group_name_Hall 'P 1'
_cell_length_a 4.421
_cell_length_b 4.629
_cell_length_c 4.629
_cell_angle_alpha 90.00
_cell_angle_beta 90.00
_cell_angle_gamma 90.00
loop_
_atom_site_label
_atom_site_type_symbol
_atom_site_fract_x
_atom_site_fract_y
_atom_site_fract_z
Li1 Li 0.500 0.000 0.000
Dy1 Dy 0.500 0.500 0.500
Sn1 Sn 0.000 0.500 0.000
Sn2 Sn 0.000 0.000 0.500

=====

[3]
# Sm2ZnCo3Ge4 | the Alexandria database | PBE | optimized geometry
# Formation energy from the elements, kJ per mole of atoms: -51.2
# Final energy, eV per atom: -5.5808
# Space-group type: P-4m2, No. 115
# D(E_F), states/eV/cell: 7.2
data_Sm2ZnCo3Ge4
_space_group_name_H-M_alt 'P 1'
_space_group_IT_number 1
_space_group_name_Hall 'P 1'
_cell_length_a 4.126
_cell_length_b 4.126
_cell_length_c 9.927
_cell_angle_alpha 90.00
_cell_angle_beta 90.00
_cell_angle_gamma 90.00
loop_
_atom_site_label
_atom_site_type_symbol
_atom_site_fract_x
_atom_site_fract_y
_atom_site_fract_z
Ge1 Ge 0.000 0.500 0.355
Ge2 Ge 0.000 0.000 0.000
Ge3 Ge 0.500 0.500 0.000
Ge4 Ge 0.500 0.000 0.645
Co1 Co 0.000 0.000 0.500
Co2 Co 0.500 0.000 0.881
Co3 Co 0.000 0.500 0.119
Sm1 Sm 0.000 0.500 0.760
Sm2 Sm 0.500 0.000 0.240
Zn1 Zn 0.500 0.500 0.500

=====

[4]
# ZrTiMnMo | the Alexandria database | PBE | optimized geometry
# Formation energy from the elements, kJ per mole of atoms: -0.3
# Final energy, eV per atom: -9.1141
# Space-group type: F-43m, No. 216
# D(E_F), states/eV/cell: 6.1
data_ZrTiMnMo
_space_group_name_H-M_alt 'P 1'
_space_group_IT_number 1
_space_group_name_Hall 'P 1'
_cell_length_a 4.540
_cell_length_b 4.540
_cell_length_c 4.540
_cell_angle_alpha 60.00
_cell_angle_beta 60.00
_cell_angle_gamma 60.00
loop_
_atom_site_label
_atom_site_type_symbol
_atom_site_fract_x
_atom_site_fract_y
_atom_site_fract_z
Zr1 Zr 0.250 0.250 0.250
Mo1 Mo 0.000 0.000 0.000
Mn1 Mn 0.500 0.500 0.500
Ti1 Ti 0.750 0.750 0.750

=====

[5]
# KSc2Se | the Alexandria database | PBE | optimized geometry
# Uncorrected formation energy, eV per atom: -0.014
# Final energy, eV per atom: -4.3251
# Space-group type: I4/mmm, No. 139
# D(E_F), states/eV/cell: 2.9
data_KSc2Se
_space_group_name_H-M_alt 'P 1'
_space_group_IT_number 1
_space_group_name_Hall 'P 1'
_cell_length_a 6.286
_cell_length_b 6.286
_cell_length_c 6.286
_cell_angle_alpha 138.79
_cell_angle_beta 138.79
_cell_angle_gamma 59.69
loop_
_atom_site_label
_atom_site_type_symbol
_atom_site_fract_x
_atom_site_fract_y
_atom_site_fract_z
Sc1 Sc 0.000 0.000 0.000
Sc2 Sc 0.500 0.500 0.000
K1 K 0.750 0.250 0.500
Se1 Se 0.250 0.750 0.500

=====

[6]
# InNi2Au2 | the Alexandria database | PBE | optimized geometry
# Formation energy from the elements, kJ per mole of atoms: -0.8
# Final energy, eV per atom: -4.1798
# Offset from the most stable computed form, eV/atom: 0.040
# Space-group type: P4/mbm, No. 127
# D(E_F), states/eV/cell: 5.0
data_InNi2Au2
_space_group_name_H-M_alt 'P 1'
_space_group_IT_number 1
>>>

Could you search the entries further up for the word "atom" and transcribe each line that has it?

# Final energy, eV per atom: -7.2579
# Final energy, eV per atom: -4.1873
# Offset from the most stable computed form, eV/atom: 0.000
# Final energy, eV per atom: -5.5808
# Final energy, eV per atom: -9.1141
# Uncorrected formation energy, eV per atom: -0.014
# Final energy, eV per atom: -4.3251
# Final energy, eV per atom: -4.1798
# Offset from the most stable computed form, eV/atom: 0.040